**Job:**
What is needed: say how many lines of the calculation results below hold the word "fractional_positions", as a bare number.
**Data:**
{"formula": "NaIO2", "functional": "GGA-PBE", "state": "relaxed", "cell": [[-3.2144, 3.2144, 6.2187], [3.2144, -3.2144, 6.2187], [3.2144, 3.2144, -6.2187]], "species": ["Na", "Na", "Na", "Na", "I", "I", "I", "I", "O", "O", "O", "O", "O", "O", "O", "O"], "fractional_positions": [[0.0000, 0.0000, 0.0000], [0.0000, 0.0000, 0.5000], [0.0000, 0.5000, 0.0000], [0.5000, 0.0000, 0.5000], [0.0000, 0.5000, 0.5000], [0.5000, 0.0000, 0.0000], [0.5000, 0.5000, 0.0000], [0.5000, 0.5000, 0.5000], [0.2066, 0.2352, 0.5286], [0.2066, 0.6780, 0.9714], [0.2352, 0.2066, 0.0286], [0.3220, 0.7934, 0.5286], [0.6780, 0.2066, 0.4714], [0.7648, 0.7934, 0.9714], [0.7934, 0.3220, 0.0286], [0.7934, 0.7648, 0.4714]], "relative_energy_mev_per_atom": 0.0, "corrected_energy_ev_per_atom": -4.19, "space_group": "No. 141", "formation_enthalpy_0k_ev_per_atom": -1.008}



{"formula": "Rb2NdCuF6", "functional": "GGA-PBE", "state": "relaxed", "cell": [[0.0000, 4.5561, 4.5561], [4.5561, 0.0000, 4.5561], [4.5561, 4.5561, 0.0000]], "species": ["Rb", "Rb", "Nd", "Cu", "F", "F", "F", "F", "F", "F"], "fractional_positions": [[0.2500, 0.2500, 0.2500], [0.7500, 0.7500, 0.7500], [0.0000, 0.0000, 0.0000], [0.5000, 0.5000, 0.5000], [0.2498, 0.2498, 0.7502], [0.2498, 0.7502, 0.2498], [0.2498, 0.7502, 0.7502], [0.7502, 0.2498, 0.2498], [0.7502, 0.2498, 0.7502], [0.7502, 0.7502, 0.2498]], "corrected_energy_ev_per_atom": -5.32, "space_group": "No. 225", "formation_enthalpy_0k_ev_per_atom": -3.089}
**Worked solution:**
2